On 8th November 2018, Malaysia underwent its third Universal Periodic Review (UPR) of its human rights record at the UN Human Rights Council (HRC). During the review the government reiterated its commitment to ratify six international human rights conventions including the International Covenant on Civil and Political Rights (ICCPR). The government also committed to conduct half-yearly reviews to keep track of the progress on implementation of UPR recommendations.
Malaysia received 268 recommendations from 111 state delegations. Among the recommendations include calls to repeal or amend existing laws that limit fundamental freedoms such the Sedition Act, the Communications and Multimedia (CMA) Act, the Printing Presses and Publication Act, the Official Secrets Act and the Anti Fake News Act. States also called on Malaysia to continue efforts to create a safe and enabling environment for the media and civil society. Malaysia is expected to examine the recommendations and provide responses before the 40th session of the council in March 2019.
In what is seen as a regressive step, on 22nd November 2018, the government said it would not ratify the International Convention on the Elimination of All Forms of Racial Discrimination (ICERD) after protests from the opposition and right wing ethnic Malay groups claiming that the convention will remove Malay privileges.
Government lifts moratorium on use of repressive laws
In a move criticised by civil society, the government, on 3rd December 2018, decided to lift a moratorium on the use of repressive laws - including the Sedition Act and Section 233 of the Communications and Multimedia Act 1998 (CMA) - to deal with cases “involving threats to public order, national security and race relations”. This was in response to violence near a Hindu temple in late November 2018. Four people are reportedly being investigated under the draconian Sedition Act.
National Human Rights Society (Hakam) secretary-general Lim Wei Jiet voiced his concern over the use of repressive laws and urged the government to abolish them. He said:
“The Sedition Act 1948 and Section 233 of the CMA are phrased too arbitrarily and have been opened to abuse many times under the previous regime...it was for this reason that Pakatan Harapan's manifesto promised to abolish these laws. Hakam, therefore, urges the government to stand firm with its manifesto promises, respect human rights and to uphold the rule of law.”
Activist Fahmi Reza conviction upheld
Conviction of Fahmi Reza over Najib clown caricature is contrary to constitution - https://t.co/SVN2JLdaIo pic.twitter.com/DRDQ8lLJll
— Aliran (@aliranmalaysia) November 13, 2018
On 12th November 2018, the Ipoh High Court upheld the conviction against activist and artist Fahmi Reza under the Communications and Multimedia Act (CMA) 1998 for publishing a clown caricature of the former prime minister Najib Razak on social media in 2016 and criticising Najib Razak for his involvement in a corruption scandal involving billions of dollars. His controversial clown caricature is regarded as one of the main symbols of defiance against the previous government, which lost the elections in May 2018.
As documented previously, Fahmi Reza was convicted and sentenced to a month’s jail and fined RM30,000 (USD 7,600) on 21st February 2018. He was prosecuted under the Communications and Multimedia Act which has been systematically misused to criminalise online criticism or satire against the government. It was reported that judicial commissioner, however, commuted Fahmi Reza’s sentence and reduced his fine from RM30,000 to RM10,000 (USD 2,500).
N. Surendran, the advisor of Lawyers for Liberty criticised the decision saying:
“The court’s decision is surprising and disappointing and is contrary to Article 10(1)(a) of the Federal constitution which guarantees freedom of speech and expression. The decision fails to give effect to the public’s basic right to criticise or comment upon political matters through pictorial representations or images or caricatures…Hence, this decision sets a dangerous and bad precedent and is a serious setback to democratic discourse in the country.”
In a separate charge related to his caricature, the Kuala Lumpur Sessions Court, on 11th October 2018, dropped the case against Fahmi Reza from charges under the CMA, after the prosecution, withdrew the charges against him. Fahmi was charged with creating false content on Instagram in February 2016 "with the intention of annoying another person's feelings".
The Communications and Multimedia Minister Gobind Singh Deo has publicly committed to amend the CMA and do away with certain provisions in the CMA that are deemed a threat to free speech.
Peaceful Assembly
NGO calls on police to stop intimidating activists
Arul PSM ' Looks like PDRM has a lot of time, where in all peaceful assembly after Malaysia baru, the police make a report themselves, and they investigate themselve'. PC responding to OCPD DANG WANGI decision to investigate Bantah 1050 memorandum to Kula event. pic.twitter.com/CSFU1WtF0L
— Sivarajan (@ASivarajan) October 26, 2018
In October 2018, human rights group Suara Rakyat Malaysia (SUARAM) urged the police and the government to stop intimidating human rights activists. SUARAM executive director Sevan Doraisamy said they were concerned that human rights activists are being hauled up by the police for questioning after organising peaceful assemblies. He said:
“The authorities intimidate human rights activists by calling in the rallies’ participants…I have been questioned three times after the new government was formed. Latest, I was summoned to Dang Wangi district police headquarters to give my statement.”
Meanwhile, political activist S. Arulchelvan said "the act of intimidation against human rights activists by the new government was no different from what was done by the previous regime". He said that the authorities were investigating peaceful assemblies even though they have been given the notice as requested.
(Someone pasted data records at this point)
Record 1
# LiSc | Alexandria via LeMat-Bulk | GGA-PBE | optimized geometry
data_LiSc
_cell_length_a 5.597
_cell_length_b 5.597
_cell_length_c 5.524
_cell_angle_alpha 90.00
_cell_angle_beta 90.00
_cell_angle_gamma 90.00
_symmetry_space_group_name_H-M 'P 42/m n m'
_symmetry_Int_Tables_number 136
_symmetry_space_group_name_Hall '-P 4n 2n'
loop_
_atom_site_label
_atom_site_type_symbol
_atom_site_fract_x
_atom_site_fract_y
_atom_site_fract_z
Li1 Li 0.175 0.175 0.000
Sc1 Sc 0.193 0.193 0.500
# - Excess energy over the best structure of this formula in the dataset: 0.349 eV/atom
# - Energy relative to the elements: 0.881 eV per formula unit


Record 2
# LiLa2RhPb | Alexandria via LeMat-Bulk | GGA-PBE | optimized geometry
data_LiLa2RhPb
_cell_length_a 5.493
_cell_length_b 5.493
_cell_length_c 4.808
_cell_angle_alpha 90.00
_cell_angle_beta 90.00
_cell_angle_gamma 90.00
_symmetry_space_group_name_H-M 'P 4/m m m'
_symmetry_Int_Tables_number 123
_symmetry_space_group_name_Hall '-P 4 2'
loop_
_atom_site_label
_atom_site_type_symbol
_atom_site_fract_x
_atom_site_fract_y
_atom_site_fract_z
Li1 Li 0.000 0.000 0.000
La1 La 0.000 0.500 0.500
Rh1 Rh 0.000 0.000 0.500
Pb1 Pb 0.500 0.500 0.000
# - Energy relative to the elements: -2.311 eV per formula unit


Record 3
# KCaTlSn | Alexandria via LeMat-Bulk | GGA-PBE | optimized geometry
data_KCaTlSn
_cell_length_a 8.026
_cell_length_b 8.026
_cell_length_c 8.026
_cell_angle_alpha 90.00
_cell_angle_beta 90.00
_cell_angle_gamma 90.00
_symmetry_space_group_name_H-M 'F -4 3 m'
_symmetry_Int_Tables_number 216
_symmetry_space_group_name_Hall 'F -4 2 3'
loop_
_atom_site_label
_atom_site_type_symbol
_atom_site_fract_x
_atom_site_fract_y
_atom_site_fract_z
K1 K 0.000 0.000 0.000
Ca1 Ca 0.000 0.000 0.500
Tl1 Tl 0.250 0.250 0.250
Sn1 Sn 0.250 0.250 0.750
# - Energy relative to the elements: -1.046 eV per formula unit


Record 4
# K2SrScTc | Alexandria via LeMat-Bulk | GGA-PBE | optimized geometry
data_K2SrScTc
_cell_length_a 6.569
_cell_length_b 6.569
_cell_length_c 6.033
_cell_angle_alpha 90.00
_cell_angle_beta 90.00
_cell_angle_gamma 90.00
_symmetry_space_group_name_H-M 'P 4/m m m'
_symmetry_Int_Tables_number 123
_symmetry_space_group_name_Hall '-P 4 2'
loop_
_atom_site_label
_atom_site_type_symbol
_atom_site_fract_x
_atom_site_fract_y
_atom_site_fract_z
K1 K 0.000 0.500 0.000
Sr1 Sr 0.000 0.000 0.000
Sc1 Sc 0.000 0.000 0.500
Tc1 Tc 0.500 0.500 0.500
# - Energy relative to the elements: 9.679 eV per formula unit


Record 5
# Na2Ga2Br | Alexandria via LeMat-Bulk | GGA-PBE | optimized geometry
data_Na2Ga2Br
_cell_length_a 8.486
_cell_length_b 8.486
_cell_length_c 3.725
_cell_angle_alpha 90.00
_cell_angle_beta 90.00
_cell_angle_gamma 90.00
_symmetry_space_group_name_H-M 'P 4/m b m'
_symmetry_Int_Tables_number 127
_symmetry_space_group_name_Hall '-P 4 2ab'
loop_
_atom_site_label
_atom_site_type_symbol
_atom_site_fract_x
_atom_site_fract_y
_atom_site_fract_z
Na1 Na 0.195 0.305 0.000
Ga1 Ga 0.104 0.604 0.500
Br1 Br 0.000 0.000 0.500
(The entry goes on)
New report details abuses against indigenous peoples
Amnesty International: Malaysia's new government has "window of opportunity" to address indigenous land rights https://t.co/XlJGxxXjPn pic.twitter.com/ZlTsEkAa3v
**Calculated crystals, kept here for reference**
=====
Entry 1:
Below is a PBEsol-optimized structure of CrFeAg, with properties calculated at the meta-GGA SCAN level.

Cell lengths 2.704, 2.704, 10.577 Å; angles 90.00, 90.00, 90.00 degrees
Space group I4mm (No. 107)
Inequivalent atoms, fractional coordinates:
Cr: 0.000 0.000 0.000
Fe: 0.000 0.000 0.617
Ag: 0.000 0.000 0.305

Results
ΔE_f: 434 meV per atom

Entry 2:
Below is a PBEsol-optimized structure of KAl2Ir, with properties calculated at the meta-GGA SCAN level.

Cell lengths 2.981, 4.704, 5.158 Å; angles 90.00, 90.00, 90.00 degrees
Space group Pmmm (No. 47)
Inequivalent atoms, fractional coordinates:
K: 0.000 0.000 0.000
Al: 0.000 0.500 0.500
Al: 0.500 0.500 0.000
Ir: 0.500 0.000 0.500

Results
Polymorph energy (0 for the lowest one): 825.3 meV/atom
ΔE_f: 597 meV per atom

Entry 3:
Below is a PBEsol-optimized structure of TcNiAg3, with properties calculated at the meta-GGA SCAN level.

Cell lengths 4.598, 4.598, 4.598 Å; angles 90.00, 90.00, 90.00 degrees
Space group Pm-3m (No. 221)
Inequivalent atoms, fractional coordinates:
Tc: 0.000 0.000 0.000
Ni: 0.500 0.500 0.500
Ag: 0.000 0.500 0.500

Results
ΔE_f: 1330 meV per atom

Entry 4:
Below is a PBEsol-optimized structure of NaPr8Se12, with properties calculated at the meta-GGA SCAN level.

Cell lengths 8.858, 8.858, 26.660 Å; angles 90.00, 90.00, 90.00 degrees
Space group I-42d (No. 122)
Inequivalent atoms, fractional coordinates:
Na: 0.000 0.000 0.000
Pr: 0.000 0.000 0.333
Pr: 0.120 0.750 0.125
Pr: 0.128 0.747 0.459
Se: 0.075 0.678 0.352
Se: 0.076 0.673 0.683
Se: 0.078 0.674 0.015

Results
Energy relative to the elements, uncorrected: -2099 meV per atom

Number 1: M_tot 0.72 μB/f.u., DOS at the Fermi energy 0.5796 states/eV per atom. Number 2: M_tot 0.00 μB/f.u., DOS at the Fermi energy 0.4546 states/eV per atom. Number 3: M_tot 4.60 μB/f.u., DOS at the Fermi energy 0.7231 states/eV per atom. Number 4: M_tot 0.00 μB/f.u., DOS at the Fermi energy 0.3032 states/eV per atom.

~~~~~

Density functional theory data (PBE) for a relaxed SrPmGaSn crystal.

Cell and atoms, written as POSCAR:
```
SrPmGaSn
1.0
5.472 0.000 0.000
2.736 4.739 0.000
2.736 1.580 4.468
Sn Sr Ga Pm
1 1 1 1
direct
0.250 0.250 0.250
0.000 0.000 0.000
0.750 0.750 0.750
0.500 0.500 0.500
```

Summary:
Its space-group type is F-43m, No. 216. The value obtained for the formation energy is -475.5 meV/atom. The value obtained for the magnetization is 0.000 μB per formula unit. As for the calculated volume: 29.0 A^3/atom.

=====

Density functional theory data (PBE) for a relaxed AlZnN3 crystal.

Cell and atoms, written as POSCAR:
```
AlZnN3
1.0
3.739 0.000 0.000
0.000 3.739 0.000
0.000 0.000 3.739
Zn N Al
1 3 1
direct
0.500 0.500 0.500
0.500 0.000 0.000
0.000 0.500 0.000
0.000 0.000 0.500
0.000 0.000 0.000
```
=====
— Al Jazeera News (@AJENews) November 30, 2018
A new report by Amnesty International, released on 29th November 2018 highlights how indigenous communities across Malaysia face relentless harassment, intimidation, arrest, violence and even death as they peacefully resist attempts to force them off land they consider ancestral land.
The report, “The Forest Is Our Heartbeat:” The Struggle to Defend Indigenous Land in Malaysia, documents the countless obstacles faced by members of indigenous communities and those who advocate on their behalf across the country.
The report shows how the murder of the indigenous activist Bill Kayong – a vocal advocate for indigenous peoples’ land rights who was gunned down in broad daylight in Miri in June 2016 – came amidst a wider climate of violence, intimidation and harassment faced by human rights defenders in Sarawak.
People described as ‘gangsters’ armed with swords or other weapons have been found to confront, harass and physically attack community leaders and activists with impunity. Other people Amnesty International spoke to told how police, government officials and agencies have threatened, arrested and investigated community members and human rights defenders across Malaysia. State authorities have demolished peaceful blockades of communities seeking to protect their land claims.
Rachel Chhoa-Howard, Malaysia Researcher at Amnesty International said:
“In a significant number of cases we’ve heard, the Malaysian government has failed to adequately investigate the human rights violations reported by communities…In cases of attacks, assaults and threats by people described as ‘gangsters’, witnesses told us that the police showed shocking indifference.”
The report outlines some clear areas for action. These include strengthening and expanding legal and policy protections for human rights defenders, to ensure they can work safely and free from harassment. Amnesty International also called on the government to carry out prompt, thorough and impartial investigations into attacks, threats and assaults against human rights defenders.
Sarawak state government retains travel ban on human rights commissioner
A new malaysia must get Sarawak to change and respect human rights of all. lift the travel ban on malaysians from the human rights fraternity @SUHAKAM @JamesMasing @baru_bian @suhakam @mkula @DrDzul @GobindSinghDeo @teresakok @my_malaysia @chedetofficial https://t.co/8kOFAt3i7F
— JeraldJoseph (@jeraldjoseph2) October 18, 2018
On 18th October 2018, the Human Rights Commission of Malaysia (SUHAKAM) issued a statement criticising the decision of the state government of Sarawak to retain a travel restriction on human rights commissioner, Jerald Joseph.
SUHAKAM Chairman Tan Sri Razali Ismail said:
(What comes next are calculated crystals, not part of the piece)
-- begin --
Computed, not measured: a relaxed TlRe2CF crystal at the PBE-GGA level of DFT.

Size of the total moment   6.19 μB/cell
Electronic total energy   -4.57 eV per atom
Calculated volume   126 Å³/f.u.

Cell: 5.315 5.315 4.477 Å, 90.00 90.00 90.00°
Space group P4/mmm (No. 123)
Symmetry-distinct sites (fractional):
Tl: 0.000 0.000 0.000 (multiplicity 1)
Re: 0.000 0.500 0.000 (multiplicity 2)
C: 0.500 0.500 0.500 (multiplicity 1)
F: 0.000 0.000 0.500 (multiplicity 1)



Computed, not measured: a relaxed RhCF2 crystal at the PBE-GGA level of DFT.

Size of the total moment   0.00 μB/cell
Calculated volume   40 Å³/f.u.
ΔE to the lowest computed polymorph   0.0 meV/atom

Cell: 3.218 3.218 15.283 Å, 90.00 90.00 90.00°
Space group I-42d (No. 122)
Symmetry-distinct sites (fractional):
Rh: 0.000 0.000 0.000 (multiplicity 4)
C: 0.000 0.000 0.500 (multiplicity 4)
F: 0.243 0.250 0.125 (multiplicity 8)



Computed, not measured: a relaxed Rh2CF crystal at the PBE-GGA level of DFT.

Size of the total moment   0.00 μB/cell
Calculated volume   42 Å³/f.u.
ΔE to the lowest computed polymorph   589.7 meV/atom

Cell: 5.524 5.524 5.524 Å, 90.00 90.00 90.00°
Space group Fm-3m (No. 225)
Symmetry-distinct sites (fractional):
Rh: 0.250 0.250 0.250 (multiplicity 8)
C: 0.000 0.000 0.000 (multiplicity 4)
F: 0.000 0.000 0.500 (multiplicity 4)



Computed, not measured: a relaxed RhCF3 crystal at the PBE-GGA level of DFT.

Size of the total moment   0.99 μB/cell
Calculated volume   69 Å³/f.u.
ΔE to the lowest computed polymorph   0.0 meV/atom

Cell: 4.099 4.099 4.099 Å, 90.00 90.00 90.00°
Space group Pm-3m (No. 221)
Symmetry-distinct sites (fractional):
Rh: 0.000 0.000 0.000 (multiplicity 1)
C: 0.500 0.500 0.500 (multiplicity 1)
F: 0.000 0.000 0.500 (multiplicity 3)



Computed, not measured: a relaxed RhCF2 crystal at the PBE-GGA level of DFT.

Size of the total moment   4.02 μB/cell
Calculated volume   43 Å³/f.u.
ΔE to the lowest computed polymorph   518.3 meV/atom

Cell: 5.571 5.571 5.571 Å, 90.00 90.00 90.00°
Space group Fm-3m (No. 225)
Symmetry-distinct sites (fractional):
Rh: 0.000 0.000 0.000 (multiplicity 4)
C: 0.000 0.000 0.500 (multiplicity 4)
F: 0.250 0.250 0.250 (multiplicity 8)



Computed, not measured: a relaxed Rh2CF crystal at the PBE-GGA level of DFT.

Size of the total moment   2.74 μB/cell
Calculated volume   56 Å³/f.u.
ΔE to the lowest computed polymorph   0.0 meV/atom

Cell: 4.910 4.910 9.304 Å, 90.00 90.00 90.00°
Space group I-42d (No. 122)
Symmetry-distinct sites (fractional):
Rh: 0.183 0.250 0.125 (multiplicity 8)
C: 0.000 0.000 0.000 (multiplicity 4)
F: 0.000 0.000 0.500 (multiplicity 4)



Computed, not measured: a relaxed RhCF2 crystal at the PBE-GGA level of DFT.

Size of the total moment   3.45 μB/cell
Calculated volume   44 Å³/f.u.
ΔE to the lowest computed polymorph   324.7 meV/atom

Cell: 2.6304 2.6304 22.1975 Å, 90.00 90.00 120.00°
Space group R-3m (No. 166, hexagonal axes)
Symmetry-distinct sites (fractional):
-- stop --
(The piece goes on)
“In the context of Malaysia's democratic transformation, every citizen shall enjoy the right to freedom of movement, and we call on the state government of Sarawak to immediately lift the travel ban on Jerald Joseph.”
Jerald, a human rights activist has been banned since 1998 from entering the state due to his protest over the construction of the controversial Bakun dam, the country’s biggest hydro-electric project.